Just found out

┌──
Entry 1:
The following is a DFT calculation (ωB97M-V/def2-TZVPD) of C29H29GdN2O4S as an isolated structure.

Values from the calculation:
* highest occupied orbital energy (spin up / spin down): -7.7 / -7.8 eV
* M: 658.88 g mol⁻¹
* max |F|: 2.8 eV/Å
* multiplicity: 8
* Kohn-Sham gap (spin up / spin down): 0.291 / 0.294 hartree
* E_LUMO (spin up / spin down): 0.18 / 0.18 eV

XYZ file:
```
66
C29H29GdN2O4S, DFT ωB97M-V/def2-TZVPD
C -2.61 1.89 -0.34
C -1.58 2.60 0.35
C -0.45 2.69 -0.53
H -1.65 3.03 1.34
C -0.79 2.05 -1.76
C -2.13 1.55 -1.65
H -0.16 1.99 -2.65
C -1.90 -1.10 2.33
C -1.69 0.26 2.67
C -0.28 0.48 2.79
H -2.47 1.00 2.89
C 0.38 -0.75 2.46
C -0.63 -1.73 2.18
H 0.47 3.22 -0.33
H -2.68 1.04 -2.43
H -3.61 1.67 0.04
H -0.44 -2.78 1.94
H 0.21 1.38 3.17
H -2.86 -1.61 2.26
Gd -0.83 0.11 0.13
C 1.86 -1.05 2.59
C 2.02 -2.30 3.46
C 2.60 0.12 3.24
H 1.47 -2.18 4.40
H 3.07 -2.48 3.69
H 1.62 -3.19 2.95
H 2.24 0.25 4.27
H 2.46 1.06 2.70
H 3.68 -0.09 3.29
C 2.49 -1.39 1.20
C 2.49 -0.29 0.18
H 1.96 -2.25 0.76
H 3.53 -1.69 1.36
O 1.40 0.21 -0.25
N 3.64 0.11 -0.32
C 3.74 0.95 -1.55
H 4.48 -0.41 -0.07
C 3.58 2.41 -1.27
C 2.90 3.22 -2.18
H 2.50 2.76 -3.09
C 2.73 4.59 -1.93
H 2.18 5.20 -2.65
C 3.27 5.16 -0.77
H 3.15 6.22 -0.58
C 3.97 4.35 0.13
H 4.39 4.78 1.04
C 4.14 2.98 -0.12
H 4.70 2.34 0.57
H 2.97 0.61 -2.24
H 4.73 0.74 -1.98
O -4.11 -0.68 0.33
C -3.61 -1.43 -0.52
N -2.26 -1.46 -0.76
S -1.73 -2.63 -1.85
O -1.10 -1.95 -2.96
O -0.97 -3.63 -1.13
C -3.39 -3.12 -2.16
C -3.79 -4.10 -3.06
C -5.16 -4.36 -3.20
C -6.09 -3.63 -2.43
C -5.67 -2.65 -1.53
C -4.29 -2.40 -1.40
H -3.04 -4.64 -3.63
H -5.51 -5.13 -3.90
H -7.15 -3.84 -2.55
H -6.38 -2.07 -0.93
```

---

Entry 2:
The following is a DFT calculation (ωB97M-V/def2-TZVPD) of C29H29HfN3Si as an isolated structure.

Values from the calculation:
* highest occupied orbital energy (spin up / spin down): -12.7 / -12.7 eV
* M: 626.15 g mol⁻¹
* max |F|: 4.6 eV/Å
* multiplicity: 1
* Kohn-Sham gap (spin up / spin down): 0.127 / 0.128 hartree
* charge: +2
* E_LUMO (spin up / spin down): -9.28 / -9.27 eV

XYZ file:
```
63
C29H29HfN3Si, DFT ωB97M-V/def2-TZVPD
C 0.72 1.64 1.43
C 1.12 2.08 0.13
C -0.06 2.25 -0.67
H 2.12 2.44 -0.13
C -1.19 1.87 0.12
C -0.71 1.48 1.43
H -1.33 1.32 2.31
H 1.36 1.61 2.32
H -0.10 2.69 -1.67
H -2.24 1.99 -0.14
Hf 0.17 -0.06 -0.16
C -0.52 -0.60 -2.16
H -1.53 -0.17 -2.32
H -0.64 -1.70 -2.20
H 0.12 -0.28 -2.98
Si -0.51 -1.96 -5.95
C 1.24 -1.76 -6.51
C 1.90 -0.54 -6.27
H 1.36 0.29 -5.80
C 3.24 -0.40 -6.63
H 3.74 0.55 -6.43
C 3.93 -1.45 -7.24
H 4.98 -1.32 -7.52
C 3.27 -2.65 -7.50
H 3.80 -3.47 -7.98
C 1.93 -2.82 -7.14
H 1.40 -3.76 -7.33
C -1.52 -0.50 -6.48
C -1.32 0.16 -7.71
H -0.57 -0.21 -8.42
C -2.08 1.29 -8.02
H -1.91 1.80 -8.97
C -3.05 1.77 -7.13
H -3.63 2.65 -7.37
C -3.26 1.10 -5.92
H -4.01 1.46 -5.22
C -2.52 -0.05 -5.60
H -2.70 -0.59 -4.67
H -0.57 -2.25 -4.50
H -1.11 -3.12 -6.63
C -0.80 -2.52 5.00
C -1.56 -1.93 3.99
C -0.99 -1.59 2.77
C 0.40 -1.80 2.58
C 1.18 -2.39 3.59
C 0.57 -2.75 4.80
└──

Looks to me like, to the newer folk in this hobby, you're filling the niche once occupied by John Allen............and you're doing one sweet dag nabbitted job of it. It may not be the Gore & Daphetid, but your work has the same innovation, and character.
The things that inspired me then, are in your work now, so, the more published you are, the better it will be for the next generation of model railroaders. Congratulations, and I'm looking forward to the future articles you mentioned.
Congratulation:thumb: :thumb:

Well deserved for your fabulous work:thumb: :thumb: :thumb:
Originally posted by sumpter250
Looks to me like, to the newer folk in this hobby, you're filling the niche once occupied by John Allen............and you're doing one sweet dag nabbitted job of it. It may not be the Gore & Daphetid, but your work has the same innovation, and character.
The things that inspired me then, are in your work now, so, the more published you are, the better it will be for the next generation of model railroaders. Congratulations, and I'm looking forward to the future articles you mentioned.

Hi Pete, that’s one hell of an accolade my friend because John Allen was the one person who inspired me to make possible a model railroad that was believable. Also I was inspired by his photography techniques as well as his modelling craftsmanship. Yep, as they used to say in show business, that’s one act to follow for sure.
Don't be modest Shamus.

(Molecular data, kept here for reference)
********
Density functional theory data (ωB97M-V/def2-TZVPD) for a structure of composition C34H43AsMnN2P2S.

Output
Frontier orbital gap (alpha / beta) in eV: 7.38 / 5.96
Total charge: +2
Molecular weight in Da: 703.6
Spin multiplicity: 4
HOMO (alpha / beta) in eV: -12.812 / -13.234
Relative energy (zero: lowest compared OMol25 entry of this formula, charge and spin) in kJ/mol: 231.2
LUMO energy (alpha / beta) in eV: -5.4 / -7.3

Last column: Löwdin charge in e.
Cartesian coordinates (Å):
Mn (1.561, 1.375, 0.344)  0.04
S (-0.546, 1.430, -0.511)  0.70
C (-2.136, 1.374, 0.259)  -0.64
C (-2.655, 2.328, 1.123)  -0.08
C (-3.957, 2.173, 1.581)  -0.05
C (-4.736, 1.090, 1.186)  -0.05
C (-4.212, 0.128, 0.334)  -0.08
C (-2.906, 0.275, -0.115)  -0.44
As (-1.903, -0.882, -1.256)  1.39
C (-2.224, -0.430, -3.084)  -0.39
C (-3.198, 0.511, -3.404)  -0.08
C (-3.406, 0.849, -4.733)  -0.05
C (-2.640, 0.261, -5.730)  -0.05
C (-1.655, -0.663, -5.405)  -0.06
C (-1.438, -1.006, -4.080)  -0.12
C (-2.527, -2.670, -0.914)  -0.35
C (-2.818, -3.013, 0.407)  -0.13
C (-3.256, -4.293, 0.708)  -0.07
C (-3.387, -5.236, -0.304)  -0.05
C (-3.088, -4.897, -1.617)  -0.05
C (-2.653, -3.618, -1.927)  -0.08
H (-2.058, 3.175, 1.434)  0.11
H (-4.374, 2.912, 2.253)  0.12
H (-5.751, 0.996, 1.547)  0.12
H (-4.808, -0.725, 0.031)  0.12
H (-3.798, 0.971, -2.628)  0.11
H (-4.169, 1.571, -4.990)  0.12
H (-2.808, 0.526, -6.765)  0.12
H (-1.053, -1.112, -6.184)  0.11
H (-0.655, -1.712, -3.829)  0.10
H (-2.736, -2.271, 1.193)  0.08
H (-3.509, -4.554, 1.727)  0.11
H (-3.731, -6.235, -0.070)  0.12
H (-3.202, -5.630, -2.404)  0.12
H (-2.443, -3.360, -2.957)  0.10
C (4.876, -0.021, 0.182)  -0.21
P (3.880, 1.393, 0.723)  0.85
C (4.357, 1.634, 2.454)  -0.22
C (4.613, 2.826, -0.157)  -0.37
C (3.739, 4.061, 0.053)  -0.37
P (2.003, 3.641, -0.352)  0.80
C (0.990, 4.944, 0.385)  -0.22
C (1.860, 3.877, -2.148)  -0.23
H (5.929, 0.166, 0.394)  0.07
H (4.750, -0.186, -0.887)  0.06
H (4.557, -0.922, 0.707)  0.05
H (5.439, 1.750, 2.529)  0.07
H (4.050, 0.768, 3.042)  0.05
H (3.856, 2.505, 2.873)  0.04
H (4.664, 2.565, -1.218)  0.09
H (5.638, 2.991, 0.183)  0.10
H (4.074, 4.899, -0.561)  0.10
H (3.770, 4.390, 1.094)  0.09
H (1.360, 5.923, 0.076)  0.07
H (1.020, 4.863, 1.471)  0.05
H (-0.042, 4.834, 0.053)  0.05
H (2.083, 4.911, -2.415)  0.06
H (0.848, 3.630, -2.467)  0.04
H (2.556, 3.220, -2.672)  0.05
N (1.047, 2.206, 3.266)  0.06
C (1.237, 1.894, 2.167)  -0.41
C (-1.026, -0.535, 2.694)  0.00
N (-0.115, -1.469, 3.422)  -0.15
C (-0.612, -2.870, 3.340)  0.01
C (1.339, -1.317, 2.993)  -0.06
C (1.579, -1.617, 1.538)  -0.23
C (1.767, -2.941, 1.119)  -0.04
C (1.962, -3.252, -0.215)  -0.05
C (1.987, -2.234, -1.165)  -0.06
C (1.837, -0.926, -0.740)  -0.19
C (1.639, -0.593, 0.598)  -0.25
********
(So much for the molecular data)

You ARE in the same class as the best.:thumb:

Comparing your C&TS to Allen McClelland's (one of MR's favorites) V&O or anything I have seen from the likes of John Allen or Linn Wescott.

You are a peer of theirs OOHH Great (but shy) Shamus :thumb:
Welll Welllllllll :) :) I just got my issue!!!!!! Paul, It's fantastic!!!!!!! :thumb: :thumb: :thumb: :thumb: :thumb:

Even if you hadn't posted the "notice" here - all I had to do is see the cover pic & I woulda known it was the C&TS :) :) The trees alone give it away LOL

[The article is interrupted by records of molecules]
(1)
A structure of composition C37H44IN4O3PPt at a distorted geometry, computed with ωB97M-V/def2-TZVPD.

Structure (ORCA input):
```
! RIJCOSX wB97M-V def2-TZVPD def2/J DEFGRID3
* xyz 2 1
Pt 0.8022 0.0757 -0.0190
N -3.5830 -0.1199 2.0981
C -3.3326 -0.8535 3.3670
C -3.2173 -2.3676 3.1029
C -1.9497 -2.7693 2.3316
N -1.9919 -2.3122 0.8970
C -0.7131 -2.1973 3.0208
C -0.7461 -0.6900 3.3340
N -0.4900 0.2330 2.1833
C -2.0591 -0.3489 4.0664
H -4.5062 -0.3641 1.7461
H -2.4151 -1.3485 0.9044
H -3.6232 0.8805 2.2781
H -4.1701 -0.6898 4.0502
H -4.1164 -2.7393 2.6013
H -3.1758 -2.8607 4.0741
H -1.8652 -3.8549 2.2985
H -2.5668 -2.9302 0.3281
H -1.0305 -2.3349 0.5040
H 0.1712 -2.4390 2.4333
H -0.6199 -2.7078 3.9812
H 0.0838 -0.5224 4.0217
H -0.0278 1.0530 2.5578
H -1.3730 0.5615 1.8151
H -2.1281 0.7313 4.2256
H -2.0291 -0.8118 5.0547
C 3.1236 -0.4185 1.6535
C 4.0361 0.4506 0.8011
C 5.3851 0.5700 1.5135
C 3.4219 1.8348 0.5682
C 4.3328 2.7567 -0.2620
O 3.5082 3.1765 -1.3618
C 2.3331 2.5629 -1.2700
N 2.1781 1.8115 -0.2379
C 1.3755 2.9118 -2.3346
C 1.7782 3.9312 -3.2081
C 0.9559 4.3803 -4.2226
C -0.3054 3.8282 -4.3819
C -0.7163 2.8183 -3.5318
C 0.1127 2.3381 -2.5182
P -0.6388 1.0147 -1.5213
C -2.0153 1.8989 -0.7333
C -3.3236 1.9086 -1.2083
C -4.2768 2.6965 -0.5772
C -3.9291 3.4811 0.5129
C -2.6203 3.4843 0.9822
C -1.6671 2.6929 0.3638
C -1.2750 -0.1727 -2.7195
C -2.4160 -0.9293 -2.4475
C -2.8733 -1.8521 -3.3728
C -2.1801 -2.0464 -4.5597
C -1.0163 -1.3328 -4.8115
C -0.5578 -0.4029 -3.8942
H 3.4732 -1.4498 1.6714
H 2.0952 -0.4244 1.2450
H 3.0589 -0.0440 2.6762
H 4.1728 -0.0249 -0.1755
H 5.2624 1.0586 2.4833
H 6.1093 1.1458 0.9394
H 5.8058 -0.4203 1.6825
H 3.1875 2.2803 1.5408
H 5.1973 2.2384 -0.6737
H 4.6678 3.6384 0.2788
H 2.7528 4.3739 -3.0772
H 1.3004 5.1606 -4.8872
H -0.9672 4.1800 -5.1614
H -1.7003 2.3866 -3.6638
H -3.6005 1.3257 -2.0765
H -5.2922 2.7067 -0.9509
H -4.6751 4.1041 0.9884
H -2.3450 4.1151 1.8175
H -0.6347 2.7025 0.7005
H -2.9619 -0.7675 -1.5247
H -3.7742 -2.4186 -3.1761
H -2.5493 -2.7548 -5.2889
H -0.4640 -1.5001 -5.7263
H 0.3542 0.1463 -4.0875
I 5.0237 -7.7688 -0.6598
C 3.8208 -6.0448 -0.7319
C 2.9517 -5.7738 0.3158
C 2.1774 -4.6266 0.2770
C 2.2831 -3.7431 -0.7938
C 3.1515 -4.0314 -1.8431
C 3.9140 -5.1861 -1.8194
C 1.5623 -2.4443 -0.7635
O 2.0048 -1.4705 -1.4098
O 0.5330 -2.3197 -0.0014
H 2.8802 -6.4508 1.1558
H 1.4947 -4.4074 1.0879
H 3.2210 -3.3447 -2.6758
H 4.5832 -5.4123 -2.6378
*
```

Properties
E_HOMO   -12.323 eV
LUMO energy   -6.45 eV
Electronic energy   -2638.9884 Ha
Energy relative to the best compared isomer or geometry (same formula, charge and spin)   9.98 kcal per mole


(2)
A cluster of 2 separate species, C18H28FN3O7 in total, computed with ωB97M-V/def2-TZVPD.

Structure (ORCA input):
```
! RIJCOSX wB97M-V def2-TZVPD def2/J DEFGRID3
* xyz 0 1
N -3.6166 3.6036 2.0880
C -3.1643 2.5595 1.9098
C -2.5698 1.2223 1.6755
C -3.7680 0.2463 1.8514
C -3.4952 -1.1753 2.2713
O -2.4550 -1.7744 2.1350
C -1.4877 1.0086 2.7732

I see in it - all the things you've commented on, here in the forums..... And even mentioning "one of your Friends" from The States. :cool: I'm trying to absorb all the information, while weeding out the new things.

Great Job!!!!!!! Both the Railroad and the article!!!! :thumb: :thumb: :thumb: :thumb: :thumb:
Thanks a lot my good friends.

Mikey, didn't know it was on sale yet so I expect I shall receive a couple soon.
Cheers all
When I was too young to really appreciate what I was looking at, my older brother showed me some of his magazines featuring articles of John Allen's layouts. Now I get to really appreciate it all over again in Shamus's magazine articles and examples of his work here. Second time around is just as inspiring as the first time. Thanks for all the sharing of your hard work and gifts, Shamus.
The cover shot is beautiful............but the photos inside are even better!!!!:wave: :wave: :wave:

My first reaction was wow! the March issue is actually out in March!...........then I found out there was no Jan., and Feb. issues.
It would have been worth the wait...but I didn't have to wait:thumb:
Hi Pete,
Thanks mate, I haven't got the magazine as yet, (In the post) so I don't know what photos were in fact used inside.